eBooks & Downloads
Actionable anti-fatigue mat resources to help you improve health, safety and productivity.
In this page, you’ll find our library of freely downloadable and printable content developed to help you tackle an assortment of anti-fatigue mat and ergonomic challenges.

┌──
Record 1
Here is C10H20N2O3S as an isolated structure from the Open Molecules 2025 dataset. Energies are from ωB97M-V/def2-TZVPD.

Calculated values
Frontier orbital gap   9.57 eV
Energy relative to the best compared isomer or geometry (same formula, charge and spin)   251.42 kcal per mole
HOMO energy   -0.325 Eh

Last column: Mulliken charge in e.
Element x y z (Å)
H -0.199 -0.722 -4.825  0.28
C 0.703 0.735 -2.465  -0.82
H 1.621 -0.334 3.515  0.33
H -1.755 -1.170 -1.324  0.54
H 1.487 1.294 -1.921  0.53
N -0.019 -0.039 -1.512  0.33
C 0.330 -1.211 -4.029  -0.46
O 0.486 2.525 3.713  -0.54
C -1.170 0.297 3.066  -0.57
C -0.477 0.519 4.253  -0.69
C -0.634 -2.001 -3.068  -0.79
O -1.378 -1.392 1.073  -0.73
H -2.274 -0.162 3.381  0.37
H -0.036 -0.340 4.685  0.35
H 2.129 -1.001 -2.726  0.26
C 1.495 -0.342 -3.416  -1.39
H 1.474 0.481 0.476  0.23
H -1.144 0.996 5.064  0.36
O 0.638 -1.318 2.334  -0.73
H 0.880 -2.408 -4.535  0.25
H -1.644 0.676 -0.262  0.59
H -1.757 1.306 2.699  0.31
C -1.314 -0.667 -2.151  -0.93
C 0.652 1.410 3.786  0.03
H -1.580 -2.324 -3.424  0.45
H -0.340 1.951 -0.808  0.47
N 1.741 0.832 3.665  -0.27
C 0.116 0.635 0.844  -0.34
H -0.192 -2.574 -2.303  0.31
H 2.641 1.383 3.430  0.28
H 0.304 1.526 1.518  0.44
H 0.215 1.382 -3.232  0.32
H -1.988 -0.007 -2.714  0.27
C -0.642 0.918 -0.527  -1.34
H 2.023 -0.184 -4.072  0.94
S -0.394 -0.671 1.812  1.35

Atoms 1-2, force components in eV/Å:
-0.20 0.20 -0.34
3.55 -1.04 -2.70

Record 2
Here is C11H10BrNRuS as an isolated structure from the Open Molecules 2025 dataset. Energies are from ωB97M-V/def2-TZVPD.

Calculated values
2S+1   6
Frontier orbital gap (spin up / spin down)   6.51 / 5.38 eV
Energy relative to the best compared isomer or geometry (same formula, charge and spin)   34.10 kcal per mole
HOMO energy (spin up / spin down)   -0.118 / -0.155 Eh
Charge   -1

Last column: Mulliken charge in e.
Element x y z (Å)
H -0.873 -1.010 -2.787  0.54
H 1.609 3.524 -0.678  0.37
H -1.323 -3.057 -1.115  0.45
H 1.416 -0.679 -1.776  0.49
H 0.672 1.790 -2.571  0.41
S -0.380 0.776 2.014  -0.47
H -2.192 1.106 -1.856  0.47
C 1.342 1.565 -1.730  -0.48
C -1.497 -2.000 -0.888  -0.55
H 2.936 2.060 1.180  0.43
C 2.547 1.712 0.236  -0.39
Br 1.048 -2.732 1.207  -0.61
Ru -0.721 -1.279 1.404  0.46
C -1.978 0.211 -1.286  -0.39
C -2.291 -1.500 0.224  -0.36
H 2.998 -0.502 0.344  0.40
C 1.828 2.459 -0.724  -0.49
H -3.028 0.592 0.641  0.54
H -2.751 -2.094 1.012  0.58
N 0.164 -0.496 4.562  -0.60
C -0.057 -0.046 3.484  0.51
C 2.571 0.346 -0.188  -0.60
C -1.304 -0.918 -1.787  -0.62
C -2.470 -0.078 0.004  -0.94
C 1.734 0.251 -1.327  -0.13

Atoms 1-2, force components in eV/Å:
-0.02 0.07 0.45
0.14 -0.31 0.00

Number 1: F_max 0.3622 hartree/bohr. Number 2: F_max 0.0687 hartree/bohr.

* * * * *

[1]
Computed, not measured: C4H8O3 in the gas phase, with ωB97M-V with the def2-TZVPD basis set.

Geometry as ORCA input:
```
! RIJCOSX wB97M-V def2-TZVPD def2/J DEFGRID3
* xyz 0 1
C 0.8929 1.4036 1.1923
C 0.5083 0.0169 0.6708
└──

4 Ways Custom Anti-Fatigue Mats Reduce Workplace Injuries
Custom anti-fatigue mats have transformed workplace safety. From eliminating trip hazards to increasing spatial awareness, in this eBook, we explore 4 definitive ways custom mats reduce workplace injuries.

• Quantum chemistry results, kept here for reference:
- - -
No. 1
Computed, not measured: a structure of composition C3H4CrMgO4, with the ωB97M-V functional and the def2-TZVPD basis.

Last column: Löwdin charge in e.
CARTESIAN COORDINATES (ANGSTROEM)
O -1.2111 1.7627 0.3562  -0.133
C -1.0511 0.5826 -0.2384  -0.106
O -1.5089 -0.5671 0.3942  -0.110
C -2.7583 -0.4473 1.1335  -0.198
Mg -2.6313 1.6024 1.6390  1.224
H 1.5936 0.0493 -0.5894  0.130
H -2.7047 -1.2093 1.9250  0.061
H -3.5782 -0.7549 0.4567  0.066
H -0.4904 0.4101 -1.1667  0.164
O 3.1220 -1.3747 -0.9372  -0.161
C 2.7296 -0.1815 -0.7944  -0.522
O 3.5596 0.7625 -0.9309  -0.162
Cr 4.9292 -0.6348 -1.2478  0.749

Properties
- energy above the lowest of the compared OMol25 structures with the same formula, charge and spin (eV) = 0.000
- total charge = +1
- spin multiplicity = 6
- largest force on an atom (Eh/bohr) = 0.1009
- <S²> = 8.754
- E (eV) = -45222.1045

No. 2
Computed, not measured: the molecule C14H17BrN2S3, with the ωB97M-V functional and the def2-TZVPD basis.

Last column: Löwdin charge in e.
CARTESIAN COORDINATES (ANGSTROEM)
S 1.6729 1.5005 -2.4958  0.671
Br 1.6559 -1.0180 3.6969  0.692
N 0.2626 0.9143 1.6400  0.041
S 0.4779 3.0471 -0.3576  0.793
S -1.5920 -0.9204 1.0918  1.022
C 0.8288 1.4675 -1.0619  -1.025
C -0.2653 0.1846 0.6839  -0.594
C -1.5619 1.1714 5.3963  -0.100
C -2.0426 1.9525 4.3476  -0.082
C -0.4892 0.2943 5.2200  -0.116
C -1.4768 1.8035 3.0841  -0.043
C 0.1573 0.2276 3.9615  -0.542
C -0.3444 0.9876 2.8804  -0.395
N 0.2757 0.2411 -0.5935  -0.110
C 2.1981 3.3270 0.2749  -0.355
C 1.1147 -2.6419 0.1247  -0.041
C -0.1340 -3.3785 -1.9398  -0.044
C -1.4072 -2.2118 -0.1924  -0.409
C 0.2878 -0.9186 -1.5298  -0.152
C -0.0268 -2.2786 -0.8532  -0.578
H -1.9819 1.1740 6.3860  0.096
H -2.8945 2.6383 4.5114  0.113
H -0.1464 -0.3321 6.0184  0.090
H -1.9423 2.2855 2.2153  0.117
H 2.5353 2.5441 0.9786  0.049
H 2.2030 4.2744 0.7904  0.026
H 2.8520 3.3490 -0.5734  0.001
H 2.0017 -2.9067 -0.4297  0.084
H 1.3028 -1.7886 0.7499  0.026
H 0.9128 -3.4939 0.8226  0.107
H -0.9593 -3.2077 -2.6156  0.080
H -0.2654 -4.3255 -1.4202  0.091
H 0.7574 -3.3870 -2.5484  0.085
H -1.6568 -3.1834 0.2363  0.088
H -2.1693 -1.9567 -0.9549  0.085
H -0.4674 -0.8112 -2.3443  0.145
H 1.3110 -0.9715 -1.9016  0.083

Properties
- energy above the lowest of the compared OMol25 structures with the same formula, charge and spin (eV) = 0.155
- largest force on an atom (Eh/bohr) = 0.0587
- SMILES = CSC(=S)N1CC(C)(C)CS/C1=N\c1ccccc1Br
- E (eV) = -120321.5179

No. 3
Computed, not measured: the ion C4H10N4S2 with charge +2, with the ωB97M-V functional and the def2-TZVPD basis.

Last column: Löwdin charge in e.
CARTESIAN COORDINATES (ANGSTROEM)
C 1.0856 -1.9130 0.2325  -0.544
C -0.9979 -0.6929 0.3104  -0.352
C -3.4919 0.6966 0.0959  -0.319
C 2.3940 1.2410 -0.3143  -0.172
N 1.7773 -1.0182 0.7744  -0.124
N -0.0374 0.7221 0.3404  -0.163
N -0.2203 -1.7804 -0.0151  0.089
N 1.6175 -3.0193 -0.2905  0.232
S -2.6894 -0.8498 0.3055  1.146
S 1.4903 0.6033 1.1046  1.192
- - -

10 Signs You Need New Anti-Fatigue Mats in 2025
Stacking, sliding, sinking and beyond. Here are 10 clear signs your anti-fatigue mats – and especially your people – are in need of a reset. Whether looking to start fresh or create a baseline for mat inspection, this eBook paired with our Inspection Checklist can kickstart your efforts.

7 Common Anti-Fatigue Mat Safety Hazards
Anti-fatigue mats are designed to prevent injury. Too often they cause them. This eBook looks closely at 7 common anti-fatigue mat safety hazards to make sure yours don't fall into this camp.

5 Ways to Stop Your Anti-Fatigue Mats from Sliding
1 in 5 safety and production leaders are dealing with sliding anti-fatigue mats – including the slip and fall risks that follow. In this eBook, find 5 proven ways to make sure your mats remain firmly in place.

5 Ways to Prevent Anti-Fatigue Mat Curling
Putting an end to curling anti-fatigue mat edges is an immediate way to reduce slips, trips and falls – the No. 1 preventable workplace injury. This eBook highlights 5 ways to stop your mats from curling.

The 100% Nitrile Difference
The majority of foam anti-fatigue mats are made from PVC foam or PVC/nitrile foam blends. At AcroMat, we make our mats from 100% nitrile rubber foam, which means at least twice the life expectancy. But what sets 100% nitrile apart? Uncover the 100% nitrile difference in this comparison breakdown.

Anti-Fatigue Mat Inspection Checklist
Carefully evaluate your mats and know exactly what to look for with our printable Mat Inspection Checklist. Simply write the name of the area, mark X's in each box you notice the listed issues, then add comments for further review and discussion.

Site Survey & Mat Measurements
Have you measured your areas and need to sketch your custom mats? Use our printable Site Survey. Once you have your drawings, bring them to AcroSketch or email our team and we'll design for you. This video highlights the simple process on-site at Red Wing Shoe Co.